• The Beginning

    The cicadas were crying loudly right outside my window.
    I didn't even need an alarm clock these days -a huge change for me -to wake up. The cicadas were loud enough. Think of them as roosters. c**k-a-doodle-doo!

    The only difference was that these cicadas were unbearably loud, and they didn't cry like roosters. Kana-kana-kana-kana....
    That was how they cried.

/*
(1)
Entry from Alexandria via LeMat-Bulk: a relaxed K2NaAs crystal (PBEsol).

Properties
- Formation energy: -370 meV per atom

Structure (CIF):
```
data_K2NaAs
_space_group_name_H-M_alt 'P 1'
_space_group_IT_number 1
_cell_length_a 5.293
_cell_length_b 5.293
_cell_length_c 10.444
_cell_angle_alpha 90.00
_cell_angle_beta 90.00
_cell_angle_gamma 120.00
loop_
_space_group_symop_operation_xyz
'x,y,z'
loop_
_atom_site_label
_atom_site_type_symbol
_atom_site_fract_x
_atom_site_fract_y
_atom_site_fract_z
_atom_site_occupancy
As1 As 0.333 0.667 0.750 1
As2 As 0.667 0.333 0.250 1
Na1 Na 0.000 0.000 0.750 1
Na2 Na 0.000 0.000 0.250 1
K1 K 0.333 0.667 0.415 1
K2 K 0.667 0.333 0.585 1
K3 K 0.333 0.667 0.085 1
K4 K 0.667 0.333 0.915 1
```

***

(2)
Entry from Alexandria via LeMat-Bulk: a relaxed KNa2As2 crystal (PBEsol).

Properties
- Formation energy: -340 meV per atom

Structure (CIF):
```
data_KNa2As2
_space_group_name_H-M_alt 'P 1'
_space_group_IT_number 1
_cell_length_a 4.778
_cell_length_b 4.778
_cell_length_c 6.836
_cell_angle_alpha 110.46
_cell_angle_beta 110.46
_cell_angle_gamma 90.00
loop_
_space_group_symop_operation_xyz
'x,y,z'
loop_
_atom_site_label
_atom_site_type_symbol
_atom_site_fract_x
_atom_site_fract_y
_atom_site_fract_z
_atom_site_occupancy
Na1 Na 0.250 0.750 0.500 1
Na2 Na 0.750 0.250 0.500 1
As1 As 0.600 0.600 0.200 1
As2 As 0.400 0.400 0.800 1
K1 K 0.000 0.000 0.000 1
```

***

(3)
Entry from Alexandria via LeMat-Bulk: a relaxed KNaAs6Pb8O24 crystal (PBEsol).

Properties
- Raw formation energy: -31.490 kcal/mol of atoms

Structure (CIF):
```
data_KNaAs6Pb8O24
_space_group_name_H-M_alt 'P 1'
_space_group_IT_number 1
_cell_length_a 7.381
_cell_length_b 10.064
_cell_length_c 10.064
_cell_angle_alpha 120.00
_cell_angle_beta 90.00
_cell_angle_gamma 90.00
loop_
_space_group_symop_operation_xyz
'x,y,z'
loop_
_atom_site_label
_atom_site_type_symbol
_atom_site_fract_x
_atom_site_fract_y
_atom_site_fract_z
_atom_site_occupancy
Pb1 Pb 0.981 0.000 0.000 1
Pb2 Pb 0.249 0.414 0.078 1
Pb3 Pb 0.249 0.664 0.586 1
Pb4 Pb 0.249 0.922 0.336 1
Pb5 Pb 0.758 0.925 0.595 1
Pb6 Pb 0.487 0.333 0.667 1
Pb7 Pb 0.758 0.670 0.075 1
Pb8 Pb 0.758 0.405 0.330 1
O1 O 0.432 0.753 0.068 1
O2 O 0.069 0.913 0.666 1
O3 O 0.562 0.392 0.959 1
O4 O 0.801 0.257 0.441 1
O5 O 0.219 0.080 0.240 1
O6 O 0.243 0.149 0.633 1
O7 O 0.801 0.559 0.816 1
O8 O 0.219 0.160 0.920 1
O9 O 0.754 0.184 0.023 1
O10 O 0.924 0.433 0.022 1
O11 O 0.754 0.977 0.160 1
O12 O 0.243 0.367 0.517 1
O13 O 0.219 0.760 0.840 1
O14 O 0.562 0.568 0.608 1
O15 O 0.432 0.932 0.685 1
O16 O 0.801 0.184 0.743 1
O17 O 0.432 0.315 0.247 1
O18 O 0.243 0.483 0.851 1
O19 O 0.069 0.334 0.247 1
O20 O 0.562 0.041 0.432 1
O21 O 0.924 0.978 0.411 1
O22 O 0.069 0.753 0.087 1
O23 O 0.754 0.840 0.816 1
O24 O 0.924 0.589 0.567 1
As1 As 0.244 0.679 0.956 1
As2 As 0.244 0.276 0.321 1
As3 As 0.760 0.062 0.356 1
As4 As 0.760 0.293 0.938 1
As5 As 0.760 0.644 0.707 1
As6 As 0.244 0.044 0.724 1
K1 K 0.479 0.000 0.000 1
*/

    I forced myself off the comfortable bed and started to get dressed for school. I didn't want to make Lena wait again, like I always made her.

    I was new to this town. It was one heck of a tiny town, let me tell you. There was only one class in the whole entire school I went too. We aren't even the same age as our classmates. There's seven year olds, ten year olds, twelve year olds...all in the same class. But the cool thing about this town was that everyone was really friendly. It had been no problem fitting in.

    I was the only guy out of my group of friends; Lena, Mion, Satoko, and Rika. I felt like I could be myself around them, and I had no trouble hanging out with them. They'd been the first to talk to me at school.

Calculated crystals, as found in the file
'''
Entry 1:
The following is a DFT calculation (PBE) of a geometry-optimized Tl5In2Sn2 structure.

## Properties
* space group: C2/m, No. 12
* energy of formation: 0.051 eV per atom
* E_tot: -24.9 eV/cell
* spin magnetization: 0.00 μB/cell

a = 5.9907 Å, b = 5.9907 Å, c = 9.7866 Å
α = 97.48°, β = 97.48°, γ = 52.16°
With the nearest neighbours (Å) after each atom.
Atoms (fractional coordinates):
Tl  0.0000  0.0000  0.0000  6 In 3.30-3.57, 6 Tl 3.41-3.54
Tl  0.0704  0.0704  0.6713  4 Sn 3.38-3.46, 5 Tl 3.41-3.50, 2 In 3.60
Tl  0.3903  0.3903  0.7730  4 In 3.33-3.72, 3 Sn 3.40-3.66, 5 Tl 3.44-3.54
Tl  0.6097  0.6097  0.2270  4 In 3.33-3.72, 3 Sn 3.40-3.66, 5 Tl 3.44-3.54
Tl  0.9296  0.9296  0.3287  4 Sn 3.38-3.46, 5 Tl 3.41-3.50, 2 In 3.60
In  0.3064  0.3064  0.0967  1 Sn 3.24, 7 Tl 3.30-3.60, 2 In 3.37
In  0.6936  0.6936  0.9033  1 Sn 3.24, 7 Tl 3.30-3.60, 2 In 3.37
Sn  0.2457  0.2457  0.4112  2 Sn 3.15, 1 In 3.24, 6 Tl 3.38-3.46
Sn  0.7543  0.7543  0.5888  2 Sn 3.15, 1 In 3.24, 6 Tl 3.38-3.46

Entry 2:
The following is a DFT calculation (PBE) of a geometry-optimized TbNdCuGe structure.

## Properties
* space group: F-43m, No. 216
* energy of formation: -0.471 eV per atom
* E_tot: -80.0 eV/cell
* spin magnetization: 0.00 μB/cell

a = 7.1732 Å, b = 7.1732 Å, c = 7.1732 Å
α = 90.00°, β = 90.00°, γ = 90.00°
With the nearest neighbours (Å) after each atom.
Atoms (fractional coordinates):
Tb  0.0000  0.0000  0.0000  4 Cu 3.11, 4 Ge 3.11
Tb  0.0000  0.5000  0.5000  4 Cu 3.11, 4 Ge 3.11
Tb  0.5000  0.0000  0.5000  4 Cu 3.11, 4 Ge 3.11
Tb  0.5000  0.5000  0.0000  4 Cu 3.11, 4 Ge 3.11
Nd  0.0000  0.0000  0.5000  4 Ge 3.11, 4 Cu 3.11
Nd  0.0000  0.5000  0.0000  4 Ge 3.11, 4 Cu 3.11
Nd  0.5000  0.0000  0.0000  4 Ge 3.11, 4 Cu 3.11
Nd  0.5000  0.5000  0.5000  4 Ge 3.11, 4 Cu 3.11
Cu  0.2500  0.2500  0.2500  4 Nd 3.11, 4 Tb 3.11
Cu  0.2500  0.7500  0.7500  4 Tb 3.11, 4 Nd 3.11
Cu  0.7500  0.2500  0.7500  4 Tb 3.11, 4 Nd 3.11
Cu  0.7500  0.7500  0.2500  4 Tb 3.11, 4 Nd 3.11
Ge  0.2500  0.2500  0.7500  4 Tb 3.11, 4 Nd 3.11
Ge  0.2500  0.7500  0.2500  4 Tb 3.11, 4 Nd 3.11
Ge  0.7500  0.2500  0.2500  4 Tb 3.11, 4 Nd 3.11
Ge  0.7500  0.7500  0.7500  4 Tb 3.11, 4 Nd 3.11

Entry 3:
The following is a DFT calculation (PBE) of a geometry-optimized NaCoB2 structure.

## Properties
* space group: I4_1/amd, No. 141
* energy of formation: 0.444 eV per atom
* E_tot: -80.0 eV/cell
* E above lowest polymorph: 0 meV/atom
* spin magnetization: 0.00 μB/cell

a = 4.2628 Å, b = 4.2628 Å, c = 12.2198 Å
α = 90.00°, β = 90.00°, γ = 90.00°
With the nearest neighbours (Å) after each atom.
Atoms (fractional coordinates):
Na  0.0000  0.2500  0.3750  8 B 2.83, 4 Co 3.01
Na  0.0000  0.7500  0.6250  8 B 2.83, 4 Co 3.01
Na  0.5000  0.2500  0.1250  8 B 2.83, 4 Co 3.01
Na  0.5000  0.7500  0.8750  8 B 2.83, 4 Co 3.01
Co  0.0000  0.2500  0.8750  4 B 1.86
Co  0.0000  0.7500  0.1250  4 B 1.86
Co  0.5000  0.2500  0.6250  4 B 1.86
Co  0.5000  0.7500  0.3750  4 B 1.86
'''

    I scarfed down my breakfast, thinking about what to say to tease Lena today. She was really fun to tease. Her reactions were cute; she'd get red right away, sputtering and taking everything seriously.

    Mion, on the other hand, was probably my closest friend, even out of my other three best friends. She was a tomboy, so she understood how I felt most of the time.

    Satoko was a little prankster. She loves setting traps all around the school, mostly set for me. It makes her day when she sees me getting caught in one of them. I have to say, these aren't ammature tricks. They're pro-leveled. She observes everyone carefully, and then sets the traps, reading her opponent's every move.

    Rika was a mysterious girl. I had a feeling that she was hiding something from us sometimes. It seemed like she had split personalities. Most of the time she was lovable, but I swear I heard her talking in a completely different voice a few times. It scared me, and I didn't say anything about it.

    Well, those are my friends for you. Trust me, I have loads of fun with them. Especially chasing Satoko after getting caught in one of her traps. She may be a prankster, but when it comes to running, she's no match for me.

    I didn't know that my happy, fun, peaceful days could come to a stop all of a sudden.
    I really never expected it to happen.
    If only that man hadn't showed up...
    If only I hadn't found out...

********
1.
## La4Tb3Pr5 (PBE)

Data for crystalline La4Tb3Pr5 at its relaxed geometry.

Lattice parameters (Å, degrees): 8.8725 8.8725 9.5661 114.93 114.93 40.28
With the nearest neighbours (Å) after each atom.
Atoms (fractional coordinates):
La 0.0834 0.0834 0.4393  2 La 3.46-3.76, 6 Pr 3.51-3.86, 1 Tb 3.52
La 0.2172 0.2172 0.8768  3 Tb 3.40-3.59, 3 La 3.71-3.76, 3 Pr 3.77
La 0.7828 0.7828 0.1232  3 Tb 3.40-3.59, 3 La 3.71-3.76, 3 Pr 3.77
La 0.9166 0.9166 0.5607  2 La 3.46-3.76, 6 Pr 3.51-3.86, 1 Tb 3.52
Tb 0.2085 0.2085 0.2256  3 Pr 3.16-3.36, 2 La 3.40-3.52
Tb 0.5000 0.5000 0.0000  2 Pr 3.05
Tb 0.7915 0.7915 0.7744  3 Pr 3.16-3.36, 2 La 3.40-3.52
Pr 0.0000 0.0000 0.0000  4 Tb 3.05-3.16
Pr 0.3289 0.3289 0.6101  4 Tb 3.31-3.62, 3 La 3.51-3.66
Pr 0.4252 0.4252 0.2972  2 Tb 3.36-3.58, 1 Pr 3.55
Pr 0.5748 0.5748 0.7028  2 Tb 3.36-3.58, 1 Pr 3.55
Pr 0.6711 0.6711 0.3899  4 Tb 3.31-3.62, 3 La 3.51-3.66

Properties
- SG: No. 12
- Density of states at the Fermi level: 20.08 states/eV per cell
- Density: 6.630 g/cm3
- Raw total energy: -55.2 eV per cell
- Calculated formation energy: 0.190 eV/atom


2.
## LaTb2Pr (PBE)

Data for crystalline LaTb2Pr at its relaxed geometry.

Lattice parameters (Å, degrees): 6.2601 6.2601 3.6835 90.00 90.00 107.98
With the nearest neighbours (Å) after each atom.
Atoms (fractional coordinates):
La 0.0000 0.0000 0.0000  8 Tb 3.63, 2 Pr 3.68, 2 La 3.68
Tb 0.0000 0.5000 0.5000  4 Pr 3.63, 4 La 3.63, 4 Tb 3.68
Tb 0.5000 0.0000 0.5000  4 Pr 3.63, 4 La 3.63, 4 Tb 3.68
Pr 0.5000 0.5000 0.0000  8 Tb 3.63, 2 La 3.68, 2 Pr 3.68

Properties
- SG: No. 65
- Density of states at the Fermi level: 6.72 states/eV per cell
- Density: 7.228 g/cm3
- Raw total energy: -18.9 eV per cell
- Calculated formation energy: 0.021 eV/atom


3.
## LaTb8Pr4 (PBE)

Data for crystalline LaTb8Pr4 at its relaxed geometry.

Lattice parameters (Å, degrees): 7.8959 7.8959 7.8959 90.09 90.09 90.09
With the nearest neighbours (Å) after each atom.
Atoms (fractional coordinates):
La 0.0000 0.0000 0.0000  8 Tb 3.57-3.58, 6 Pr 3.95
Tb 0.2614 0.2614 0.2614  4 Pr 3.26-3.48, 1 La 3.57
Tb 0.2607 0.7382 0.7382  4 Pr 3.26-3.48, 1 La 3.58
Tb 0.2618 0.2618 0.7393  4 Pr 3.26-3.48, 1 La 3.58
Tb 0.2618 0.7393 0.2618  4 Pr 3.26-3.48, 1 La 3.58
Tb 0.7382 0.2607 0.7382  4 Pr 3.26-3.48, 1 La 3.58
Tb 0.7382 0.7382 0.2607  4 Pr 3.26-3.48, 1 La 3.58
Tb 0.7393 0.2618 0.2618  4 Pr 3.26-3.48, 1 La 3.58
Tb 0.7386 0.7386 0.7386  4 Pr 3.26-3.48, 1 La 3.57
Pr 0.0000 0.0000 0.5000  8 Tb 3.47-3.48
Pr 0.0000 0.5000 0.0000  8 Tb 3.47-3.48
Pr 0.5000 0.0000 0.0000  8 Tb 3.47-3.48
Pr 0.5000 0.5000 0.5000  8 Tb 3.26

Properties
- SG: No. 166
- Density of states at the Fermi level: 22.09 states/eV per cell
- Density: 6.658 g/cm3
- Raw total energy: -54.4 eV per cell
- Calculated formation energy: 0.513 eV/atom
********

    Blood was everywhere. I didn't know how it had gotten there, or why I had a blood-covered baseball hand gripped in my hands. Why they were holding a syringe in their hands. Why tears were pouring out of my eyes.

    I really had liked these two. In fact, I might have even been in love with one of them. If only they hadn't tried to kill me, things might have worked out perfectly.

    Behind me, I heard someone whispering, "I'm sorry."
    Over and over and over and over and over again.

    So this was what that man had warned me about.
    I felt a strange smile spreading on my face. I heard a crazy laugh from somewhere. It took a while to realize that it was my own laugh.
    Haha...if only I had listened to that man...if only...